From pub to hub as campaign aims to be beacon of hope for women in Barnstaple

An appeal has been launched to create a community hub offering first hand support and advice for women in a former Barnstaple town centre pub. The joint project between Encompass Southwest and North Devon Against Domestic Abuse (NDADA) is seeking to raise funds and support to refurbish the old Watering Hole pub in Castle Street and turn it into a vital community resource.

**Data records, as found in the file:**
- - -
1.
This entry pairs a crystal structure of LaNdPbN with its computed powder diffractogram. Radiation: Cu Kα. Structure: a crystal structure in Alexandria, relaxed with PBE.

Structural model:
```
LaNdPbN
1.0
4.8394 0.0000 0.0000
0.0000 4.8394 0.0000
0.0000 0.0000 9.2927
La Nd Pb N
2 2 2 2
direct
0.2500 0.2500 0.1778 La
0.7500 0.7500 0.8222 La
0.2500 0.7500 0.5000 Nd
0.7500 0.2500 0.5000 Nd
0.2500 0.2500 0.7958 Pb
0.7500 0.7500 0.2042 Pb
0.2500 0.2500 0.4212 N
0.7500 0.7500 0.5788 N
```

The 10 most intense peaks (15° ≤ 2θ ≤ 90°), by angle:
2θ = 26.04°, rel. 25
2θ = 27.78°, rel. 61
2θ = 28.82°, rel. 42
2θ = 32.50°, rel. 100
2θ = 37.16°, rel. 56
2θ = 47.69°, rel. 42
2θ = 53.56°, rel. 20
2θ = 56.33°, rel. 29
2θ = 64.06°, rel. 29
2θ = 81.47°, rel. 20

***

2.
This entry pairs a crystal structure of La4Nd2Pb3N2 with its computed powder diffractogram. Radiation: Cu Kα. Structure: a crystal structure in Alexandria, relaxed with PBE.

Structural model:
```
La4Nd2Pb3N2
1.0
-2.4822 2.4822 13.3339
2.4822 -2.4822 13.3339
2.4822 2.4822 -13.3339
La Nd Pb N
4 2 3 2
direct
0.0862 0.5862 0.5000 La
0.4138 0.9138 0.5000 La
0.5862 0.0862 0.5000 La
0.9138 0.4138 0.5000 La
0.1946 0.1946 0.0000 Nd
0.8054 0.8054 0.0000 Nd
0.3210 0.3210 0.0000 Pb
0.5000 0.5000 0.0000 Pb
0.6790 0.6790 0.0000 Pb
0.1069 0.1069 0.0000 N
0.8931 0.8931 0.0000 N
```

The 10 most intense peaks (15° ≤ 2θ ≤ 90°), by angle:
2θ = 18.18°, rel. 17
2θ = 26.25°, rel. 31
2θ = 28.74°, rel. 18
2θ = 32.50°, rel. 100
2θ = 33.61°, rel. 14
2θ = 36.19°, rel. 53
2θ = 50.21°, rel. 18
2θ = 52.11°, rel. 19
2θ = 61.59°, rel. 14
2θ = 62.77°, rel. 31

***

3.
This entry pairs a crystal structure of LaNd2ReN4 with its computed powder diffractogram. Radiation: Cu Kα. Structure: a crystal structure in Alexandria, relaxed with PBE.

Structural model:
```
LaNd2ReN4
1.0
1.7834 -6.0816 0.0000
1.7834 6.0816 0.0000
0.0000 0.0000 12.1168
La Nd Re N
2 4 2 8
direct
0.1157 0.8843 0.7500 La
0.8843 0.1157 0.2500 La
0.3681 0.6319 0.5397 Nd
0.3681 0.6319 0.9603 Nd
0.6319 0.3681 0.0397 Nd
0.6319 0.3681 0.4603 Nd
0.1515 0.8485 0.2500 Re
0.8485 0.1515 0.7500 Re
0.0000 0.0000 0.0000 N
0.0000 0.0000 0.5000 N
0.2678 0.7322 0.1350 N
0.2678 0.7322 0.3650 N
0.4231 0.5769 0.7500 N
0.5769 0.4231 0.2500 N
0.7322 0.2678 0.6350 N
0.7322 0.2678 0.8650 N
```

The 10 most intense peaks (15° ≤ 2θ ≤ 90°), by angle:
2θ = 16.31°, rel. 22
2θ = 29.37°, rel. 57
2θ = 29.49°, rel. 46
2θ = 29.99°, rel. 97
2θ = 34.32°, rel. 28
2θ = 36.69°, rel. 100
2θ = 42.11°, rel. 31
2θ = 50.76°, rel. 25
2θ = 60.18°, rel. 28
2θ = 61.28°, rel. 22

***

4.
This entry pairs a crystal structure of LaNd2UN4 with its computed powder diffractogram. Radiation: Cu Kα. Structure: a crystal structure in Alexandria, relaxed with PBE.

Structural model:
```
LaNd2UN4
1.0
-2.5527 2.5527 5.1185
2.5527 -2.5527 5.1185
2.5527 2.5527 -5.1185
La Nd U N
1 2 1 4
direct
0.0000 0.0000 0.0000 La
0.5000 0.5000 0.0000 Nd
0.7500 0.2500 0.5000 Nd
0.2500 0.7500 0.5000 U
0.0368 0.5368 0.5000 N
- - -

The project is in its early days but has the support of North Devon Council, which owns the former public house premises and has suggested it as a suitable venue for the new hub.

The aim will be to offer a wide range of support from different agencies under one roof for women who are facing domestic abuse, dealing with mental health issues, addiction or facing homelessness.

The fundraising has already been kicked off with a £1,000 donation from North Devon Samaritans.

A community consultation has just been launched and will run until May but already the charities are hearing from local women that a hub would be very welcome.

Claire Fisher, CEO of Encompass said: “The consultation has only been out for a week and we have already had 70 replies, but we are already seeing women telling us there is a need for this.

“We are really looking for community support and for people to get on board with this, by completing our survey and we will also be launching a fundraising appeal, plus we are looking to set up a stewardship group to run the hub.

“The building is currently a bit of an eyesore and we would be refurbishing it, so any local trades or businesses that would be willing to make donations in kind, especially on the construction side, would be greatly appreciated.”

The hub project is part of the Brave Spaces initiative run in North Devon by the two charities, which works to help women on several fronts but in particular tackling domestic abuse and trying to prevent violence against women and girls.

The latest data for Devon suggests there are 36,000 cases of domestic abuse each year, but only a tiny proportion of those people reach out for support.

NDADA, which provides a refuge plus support for women affected by domestic abuse, receives up to 1,100 per year just in North Devon and Torridge.

Hannah Ashford, CEO of NDADA, said: “Our clients often find the road to recovery difficult. The support offered by NDADA is varied; we have IDVAs (Independent Domestic Violence Advocate’s) in our refuge, at both North Devon hospital and Exeter hospital, in the community connecting with local organisations and other support including talking therapies, group recovery courses (Empowerment), and a service for children and young people.

“However, often people feel isolated from the community following an abusive relationship and the community hub will give the space to not only provide vital, multiagency support, addressing other needs in addition to domestic abuse but also a space to meet others and form meaningful connections and friendships.”

Of the 70 who replied to the hub consultation so far, 45 said they had been victims of domestic abuse, 40 said they had suffered sexual assault and 58 said that they experienced mental health problems, while 43 said they suffered from loneliness.

The charities will be applying for a grant from the Government’s Community Ownership Fund and the project has the backing of North Devon MP Selaine Saxby, North Devon Council, Barnstaple Town Council and Devon County Council.

Claire Fisher added: “Please do complete the survey – we really need the community to back us on this, we need to hear how they feel about it and whether there is a need for it.

“We hope to raise £40,000 to match any grant money and we need support for fundraising plus we’d like to hear from any businesses able to offer time, materials or expertise to help with the refurbishment.”

To have your say on the consultation, please scan the QR code or go to If you would like to make a donation, please visit If you want to find out more about helping as a business by donating time or perhaps materials, please email or alternatively call 01271 370079 (NDADA) or Encompass on 01271 371499. Leave a message if no one is able to answer.